Mathematician Ruth Haas works on mathematical models and in particular the study of counting, which is called combinatorics. She revels in the quintessential problems and constructs of mathematical research, where reality meets abstraction and chaos meets order and ultimately offers new pathways to understanding the world.
/ Published December 6, 2013
As a theoretical mathematician specializing in combinatorics, Ruth Haas explores the deep underlying principles of mathematics that influence how the world we inhabit is organized. The professor of mathematics and statistics and of engineering at Smith conducts research that is both algebraic and combinatorial, spanning both theoretical and applied topics including combinatorics, splines, commutative and computer algebras and operations research. Accordingly, the thinking she engages in uses permutations, abstract algebra and graph theory to understand patterns and highly abstract structures. Haas was recently appointed to a chaired professorship, and her inaugural lecture as the Achilles Professor was titled “Reconfiguration.”
# Calculated molecules, kept here for reference
P | Entry from the Open Molecules 2025 dataset: the molecule C3H10N4 (the ωB97M-V functional and the def2-TZVPD basis).

Cartesian coordinates (Å):
C1 1.733 -0.801 -0.746
C2 1.108 0.943 0.842
C3 -1.718 -0.087 -0.146
H1 2.618 -0.967 -0.143
H2 1.388 -1.799 -1.127
H3 2.032 -0.118 -1.560
H4 1.888 0.600 1.531
H5 1.504 1.776 0.247
H6 0.279 1.304 1.426
H7 -0.342 0.997 -1.192
H8 -2.660 -1.158 1.205
H9 -0.891 -1.205 1.285
H10 -2.604 1.252 -1.205
N1 0.679 -0.200 0.095
N2 -0.444 0.109 -0.706
N3 -1.777 -1.143 0.710
N4 -2.792 0.497 -0.517

## Properties
- Kohn-Sham gap (eV) = 9.62
- E_LUMO (Eh) = 0.0297
- SMILES = [H]/N=C(/N)NN(C)C

Q | Entry from the Open Molecules 2025 dataset: the molecule C3H10N4 (the ωB97M-V functional and the def2-TZVPD basis).

Cartesian coordinates (Å):
C1 -2.017 -0.072 -0.100
C2 1.574 -0.671 -0.900
N1 0.346 -0.327 1.510
C3 -0.805 -0.034 -0.721
N2 0.549 0.595 2.485
N3 -0.733 0.558 -1.982
N4 0.324 -0.574 -0.166
H1 -0.426 -0.986 1.615
H2 1.115 1.380 2.177
H3 0.838 0.235 3.391
H4 0.122 1.085 -2.108
H5 -1.542 1.126 -2.202
H6 -2.200 -0.639 0.802
H7 -2.885 0.429 -0.508
H8 1.440 -1.276 -1.806
H9 1.955 0.313 -1.203
H10 2.346 -1.142 -0.284

## Properties
- Kohn-Sham gap (eV) = 7.99
- E_LUMO (Eh) = 0.0322
- SMILES = C=C(N)N(C)NN

R | Entry from the Open Molecules 2025 dataset: a structure of composition C3H10N4 (the ωB97M-V functional and the def2-TZVPD basis).

Cartesian coordinates (Å):
C1 -0.598 -1.180 0.094
N1 -1.794 -0.651 0.528
C2 0.770 1.093 -1.608
C3 -0.388 -1.727 -1.106
N2 -0.132 1.333 -0.781
H1 -1.775 -0.249 1.451
H2 -2.225 -0.010 -0.135
H3 0.656 1.430 -2.643
H4 1.708 0.557 -1.409
H5 -1.134 -1.680 -1.882
H6 0.552 -2.169 -1.381
N3 1.213 0.170 2.020
N4 0.740 1.330 1.741
H7 0.036 1.610 2.428
H8 1.918 -0.059 1.308
H9 0.136 -1.301 0.936
H10 0.315 1.501 0.439

## Properties
- Kohn-Sham gap (spin up / spin down) (eV) = 7.03 / 7.03
- E_LUMO (spin up / spin down) (Eh) = -0.0328 / -0.0327

P is favored, and the nearest alternative lies 99.0 kcal/mol above it.

P | Entry from the Open Molecules 2025 dataset: the molecule C4H6N4 (the ωB97M-V functional and the def2-TZVPD basis).

Cartesian coordinates (Å):
C1 -2.062 1.240 0.640
C2 0.660 0.062 -0.189
C3 -0.010 -1.069 -0.495
C4 1.946 -0.318 -0.285
H1 -2.773 0.881 -0.344
H2 -2.763 2.081 1.144
H3 -1.475 0.336 1.342
H4 -1.118 -1.103 -0.280
H5 2.841 -2.147 -0.561
H6 2.822 0.278 0.258
N1 -0.915 1.997 -0.060
N2 0.193 1.496 -0.098
N3 0.729 -2.182 -0.497
N4 1.925 -1.554 -0.577

## Properties
- Kohn-Sham gap (eV) = 8.67
- E_LUMO (Eh) = 0.0221
- SMILES = C/N=N\c1cn[nH]c1

Q | Entry from the Open Molecules 2025 dataset: the molecule C4H6N4 (the ωB97M-V functional and the def2-TZVPD basis).

Cartesian coordinates (Å):
C1 1.343 0.067 0.094
C2 -0.118 0.115 0.122
C3 -1.024 1.206 0.101
C4 -2.200 0.541 -0.107
H1 1.544 -2.045 -0.324
H2 3.085 -0.914 0.127
H3 2.945 1.095 -0.040
H4 -0.709 2.242 -0.176
H5 -3.399 0.742 -0.190
H6 -2.762 -1.408 0.370
N1 1.976 -1.106 -0.119
N2 1.850 1.324 0.023
N3 -1.909 -0.790 -0.094
Afterwards she spoke with Insight about her research, including her reflections on the investigations mathematicians are motivated to pursue.
Q. What is combinatorics?
A. Combinatorics is a broad field closely aligned with computer science. It is the study of counting. It comes from the word “combination.” In combinatorics there are two basic questions: How many are there? (which is counting) and What are they? (which is enumeration). Say you invite six friends for dinner and you want to know how many different ways you can seat them around the table. How many combinations are there? Or let’s say you have 10 friends and you have three tables of three and there is somebody you are not going to invite. How many ways can you divide them up? We could then ask for other properties, such as which arrangements seat couples together? A permutation is a rearrangement of a set. While permutations around the dinner table are not deeply important, there are many more serious applications.

The reconfiguration diagram for involutions on five elements under the reconfiguration rule that allows only switching two neighboring elements. An involution is a permutation, which when done twice results in the original order. Click to enlarge.
Q. So what do you mean by “reconfiguration”?
A. This describes moving from one good solution to another good solution, and it raises almost limitless questions. How many steps might it take, for example, to go from one acceptable seating arrangement to another if we introduce a rule that in each step only two people sitting next to each other can change places? What is the least number of permutations you have to pass through? Is there more than one way to reach the same outcome? If so, how many? Can you get from a particular solution to any other? Reconfiguration means you have a bunch of solutions and some rule for how you are allowed to move from solution to solution.
Q. What do you learn from spinning out problems like this?
A. It sounds trivial when phrased in terms of the dinner table problem. In fact, understanding how permutations work is understanding how objects move in space, how symmetry works, how chemistry works. The remarkable thing about combinatorial mathematics is that you feel like you are just playing games, but in fact the patterns that come out of these problems turn out to explain complex mathematical and physical structures that are important to all of us—whether we realize it or not. They illuminate a lot of deep, underlying mathematics.
Q. Tell us more about that.
A. Mathematics is about creating and understanding abstract models of reality. The goal of abstract mathematics is to explore and understand the abstract models.
Q. What is a problem you are working on now?
A. I am doing something called “domination in graphs.” A graph is a set of vertices with edges between them. Imagine city streets with corners at the intersections. Think of domination as putting police officers at the intersections so that they can see down every street there is. A dominating set is a set of “officers” at some vertices that can see everywhere. The reconfiguration problem is very practical because individual officers change, they go on and off duty. If you put a new officer at a new intersection so an old one can leave, how do you accomplish this without leaving anything uncovered at any point? That’s the idea of reconfiguration in domination.
Q. Are the constructs you work with related to things you would find in nature?
A. Related yes, but perhaps not directly. Applied mathematicians have a more direct relationship with reality. A colleague in math biology works with a biologist who will say “here’s what I see with snails and crabs; can you help me make a model that explains this phenomena?” Theoretical mathematicians take applied models and abstract them even further. We try to push them to understand the limits. We get pretty far away from readily perceived reality. It’s very abstract.
Q. How do mathematicians decide which abstractions to investigate?
A. We are motivated by trying to figure out as much truth as possible. The broad goal is to understand everything about everything. The way to make progress toward that is to figure out what question there is that you might actually be able to get an answer to in mathematics. Framing the question, even knowing what to ask about how something works, can be a very difficult thing. You don’t know how something is going to work until you know how it works—and if you already know how it works then you wouldn’t have to study it. You often ask one question and end up answering a different one. That’s the nature of mathematical research.

The reconfiguration diagram for involutions (in red and blue) is superimposed on the diagram for all permutations on four elements. Click to enlarge.
Q. Are there always words to describe the questions you are asking?
A. I was working with some students today who had to invent their own language to advance their project. A striking thing about my branch of mathematics is that many of the names sound made up because, well, we make them up. We have things called a “matroid” and a “greedoid.” In graph theory there is something called a “tree,” a “flower,” a “forest.”
Q. What is unusual about those names and what do they signify?
A. There is nothing unusual about these names. They just seem funny to a non-mathematician because they are words we use in daily life, and people expect math words to be different. The particular words I mentioned here signify graph structures that look like a tree, flower or forest.
Q. If you publish an article do the names you invent become part of the nomenclature?
A. In a new field, sometimes things have multiple names. Somebody will call something a “path,” somebody else will call it a “walk,” and somebody else will call it a “trail.” It may take 40 years until the language gets standardized and everybody refers to things by the same name.
Q. Do you bring computers to bear on patterns you are trying to decipher?
A. More and more. You have this machine on your desk that will do computations in a few seconds and will generate visualizations of the patterns in your data. Even seven years ago, when I started working on involutions, for example, we had problems that would crash the machine. Now you can do them in 10 minutes. A lot of what I do is to figure out how to get computers to understand what it is I want to talk about.
Q. What is the relationship between computer science and combinatorics?
A. Computers are based on binary arithmetic. They are possible because we’ve figured out how to turn switches on and off to represent zeros and ones. That’s a discrete thing, so that’s combinatorial. Computers and combinatorics have grown up together. Combinatorics made computers possible. At the same time, because of computers we can now solve more combinatorial questions, so there’s a back-and-forth.
Q. Is asking you to describe the practical applications of this research a valid question?
A. It is and it isn’t. I don’t use that as a day-to-day motivation. I’m not going to cure cancer. I’m not going to make cell phones work better than they do. It’s the nature of humans to explore. We have art, we have music and we have philosophy. We do many things that don’t directly make us more money or make us healthier, but they increase our understanding of the world. Even crazy theoretical mathematics that people have created over time turns out to be applicable. Things that seem like purely fun games, pie-in-the-sky mathematics when they were developed a hundred years ago, now turn out to be useful models—not all of it, but a lot of it.
Q. That speaks to the fact that there is a logic to the world that we live in.
A. That’s right. I think it is human nature to try to understand that logic.
Q. Where is this heading?
A. Now you are getting to a philosophical question. Mathematics gives us abstract models to address complex, real-world problems. The nature of humans is to play with structures and create new things and to see where paths lead. There is always new stuff to explore and new variations to consider. Further, there is an aesthetic. The human mind appreciates patterns, whether they are symmetrical patterns, or other kinds of patterns whenever they show up. We appreciate seeing order out of chaos.